The Worldly-Wise Torah
The theophany or revelation at Sinai is the foundational event in Jewish life. It shapes Jewish identity both through it stories and even more significantly through God’s commandments or mitzvot to the children of Israel. This revelation, embodied in the Torah, not only shapes a Jew’s reality, but for the believing Jew, its acceptance has cosmic significance, namely, all of existence is dependent upon it.
This idea is found in a midrash based on a creative reading of a verse from the book of Psalms:
From the heavens You made judgment (din) heard, the earth was afraid and fell silent (yarah v’shakata) . (Psalms 76:9)
The plain or pshat meaning of this verse refers to the fear caused by God’s carrying out justice in the world. The sage, Hezekiah, however, reads “din” to refer to Torah and the verbs “yara” and “shakata” to be understood as fear and tranquility, respectively:
Hezekiah said: What is meant by the verse: From the heavens You (God) made judgment heard, the earth was afraid and tranquil. (Psalms 76:9): if it was afraid, how could it be tranquil, and if it was tranquil, why should it be afraid? [Rather, understand it this way:] At first it feared, yet subsequently it was tranquil. And why did it fear? [This interpretation] is in accordance with [a teaching of] Resh Lakish, for Resh Lakish said: Why is it written: And there was evening and there was morning, the sixth day (yom hashishi); What is the purpose of the additional ‘the (the definite article ‘hey’)’? This teaches that the Holy One, blessed be He, stipulated with the Works of Creation and said: ‘If Israel accepts the Torah, you shall exist; but if not, I will turn you back into emptiness and formlessness (tohu va’vohu).’ (Shabbat 88a)
The article is interrupted by calculated crystals
=====
This record from Alexandria via LeMat-Bulk describes a relaxed structure of AcEuGePt. The functional is GGA-PBE.

Cell lengths 5.3183, 5.3183, 5.3183 Å; angles 60.00, 60.00, 60.00 degrees
Each line ends with the local moment (μB).
Sites, in units of the cell vectors:
Ge 0.2500 0.2500 0.2500  -0.05
Ac 0.5000 0.5000 0.5000  -0.01
Eu 0.0000 0.0000 0.0000  6.76
Pt 0.7500 0.7500 0.7500  -0.06

Values from the calculation:
energy relative to the elements: -745 meV per atom
density: 10.1 Mg/m³
DOS(E_F): 10.71 states/eV/f.u.

***

This record from Alexandria via LeMat-Bulk describes a relaxed structure of AcEuPuGe. The functional is GGA-PBE.

Cell lengths 5.4737, 5.4737, 5.4737 Å; angles 60.00, 60.00, 60.00 degrees
Each line ends with the local moment (μB).
Sites, in units of the cell vectors:
Pu 0.0000 0.0000 0.0000  -5.70
Ac 0.7500 0.7500 0.7500  -0.28
Ge 0.2500 0.2500 0.2500  0.03
Eu 0.5000 0.5000 0.5000  6.68

Values from the calculation:
energy relative to the elements: 141 meV per atom
density: 10.0 Mg/m³
DOS(E_F): 16.05 states/eV/f.u.

***

This record from Alexandria via LeMat-Bulk describes a relaxed structure of AcEuGeSb. The functional is GGA-PBE.

Cell lengths 5.5704, 5.5704, 5.5704 Å; angles 60.00, 60.00, 60.00 degrees
Each line ends with the local moment (μB).
Sites, in units of the cell vectors:
Ac 0.0000 0.0000 0.0000  0.01
Ge 0.2500 0.2500 0.2500  -0.01
Eu 0.5000 0.5000 0.5000  6.81
Sb 0.7500 0.7500 0.7500  -0.02

Values from the calculation:
ΔE_f (raw): -661 meV per atom
density: 7.8 Mg/m³
DOS(E_F): 4.01 states/eV/f.u.

***

This record from Alexandria via LeMat-Bulk describes a relaxed structure of AcEuSnGe. The functional is GGA-PBE.

Cell lengths 5.5610, 5.5610, 5.5610 Å; angles 60.00, 60.00, 60.00 degrees
Each line ends with the local moment (μB).
Sites, in units of the cell vectors:
Sn 0.2500 0.2500 0.2500  0.00
Ac 0.0000 0.0000 0.0000  0.03
Ge 0.7500 0.7500 0.7500  0.00
Eu 0.5000 0.5000 0.5000  6.84

Values from the calculation:
energy relative to the elements: -540 meV per atom
density: 7.8 Mg/m³
DOS(E_F): 8.20 states/eV/f.u.

***

This record from Alexandria via LeMat-Bulk describes a relaxed structure of AcEuZnGe. The functional is GGA-PBE.

Cell lengths 5.4125, 5.4125, 5.4125 Å; angles 60.00, 60.00, 60.00 degrees
Each line ends with the local moment (μB).
Sites, in units of the cell vectors:
Ge 0.2500 0.2500 0.2500  -0.05
Eu 0.0000 0.0000 0.0000  6.90
Ac 0.5000 0.5000 0.5000  0.12
Zn 0.7500 0.7500 0.7500  0.05

Values from the calculation:
energy relative to the elements: -449 meV per atom
density: 7.7 Mg/m³
DOS(E_F): 2.74 states/eV/f.u.

***

This record from Alexandria via LeMat-Bulk describes a relaxed structure of AcEuHN. The functional is GGA-PBE.

Cell lengths 4.5850, 4.5850, 4.5850 Å; angles 60.00, 60.00, 60.00 degrees
Each line ends with the local moment (μB).
Sites, in units of the cell vectors:
N 0.2500 0.2500 0.2500  -0.07
Eu 0.5000 0.5000 0.5000  7.02
H 0.7500 0.7500 0.7500  -0.01
Ac 0.0000 0.0000 0.0000  0.22
=====
What is the textual impetus for this idea? The Talmudic sage, Resh Lakish, noticed that unlike for the first five days of creation, the Torah set the sixth day apart by using the definite article in referring to the day (yom hashishi). This “hey” inspired him to conclude that the creation of the world was held in check until the children of Israel accepted the Torah on the sixth day (yom hashishi) of Sivan, the day on which the Torah was given (Shavuot).
Calculated crystals, as found in the file =
~~~
Record 1
{
  "formula": "TmZnGaRu",
  "functional": "PBE",
  "state": "relaxed",
  "lattice_angstrom": [[-2.683, -1.874, 2.823], [-1.707, -3.870, -0.884], [2.096, -3.949, 2.678]],
  "species": ["Tm", "Zn", "Ga", "Ru"],
  "fractional_positions": [[0.819, 0.819, 0.543], [0.037, 0.037, 0.890], [0.600, 0.600, 0.200], [0.270, 0.270, 0.190]],
  "spacegroup": "R3m, No. 160",
  "vol_a3_per_cell": 74,
  "m_tot_mub_per_fu": 0.0,
  "e_tot_ev_per_atom": -4.848,
  "polymorph_energy_ev_per_atom": 0.0000
}

---

Record 2
{
  "formula": "TmZnGaRu",
  "functional": "PBE",
  "state": "relaxed",
  "lattice_angstrom": [[-4.295, 1.088, 1.117], [-3.366, -0.574, -3.036], [-3.103, -3.295, 0.625]],
  "species": ["Ru", "Zn", "Tm", "Ga"],
  "fractional_positions": [[0.750, 0.750, 0.750], [0.500, 0.500, 0.500], [0.250, 0.250, 0.250], [0.000, 0.000, 0.000]],
  "spacegroup": "F-43m, No. 216",
  "vol_a3_per_cell": 67,
  "m_tot_mub_per_fu": 0.0,
  "e_tot_ev_per_atom": -4.829,
  "polymorph_energy_ev_per_atom": 0.0191
}

---

- Number 2 is which compound?
  TmZnGaRu

=====

# Co2PIrAu

An optimized crystal structure of Co2PIrAu (PBE, the Alexandria database).

CIF file:
```
data_Co2PIrAu
_symmetry_space_group_name_H-M 'P 4/m m m'
_symmetry_Int_Tables_number 123
_symmetry_space_group_name_Hall '-P 4 2'
_cell_length_a 4.524
_cell_length_b 4.524
_cell_length_c 5.072
_cell_angle_alpha 90.00
_cell_angle_beta 90.00
_cell_angle_gamma 90.00
loop_
_atom_site_label
_atom_site_fract_x
_atom_site_fract_y
_atom_site_fract_z
_atom_site_occupancy
Co1 0.000 0.500 0.000 1
P1 0.000 0.000 0.500 1
Ir1 0.500 0.500 0.000 1
Au1 0.500 0.500 0.500 1
```

final energy: -24.187 eV per cell
calculated formation energy: 1.51 eV per atom
total magnetization: 5.3 μB per cell
~~~
If one understands this midrash didactically, it expresses a quintessentially Jewish, though somewhat countercultural, message. The Jewish religious tradition has always stressed the idea of responsible behavior, a message embodied by the idea of serving God through divine service – the mitzvot or commandments. This idea, which has had many detractors throughout history, has again proved itself eternally relevant in a world where our fate really does depend on the idea that responsible behavior does matter. It is this precious thought which we not only celebrate on Shavuot but hope to embody in our lives.